[Entries]
<<<
Computed, not measured: an optimized crystal structure of Rb2NaCu at the PBE-GGA level of DFT.

CIF file:
```
data_Rb2NaCu
_chemical_formula_sum 'Rb8 Na4 Cu4'
_symmetry_space_group_name_H-M 'I -4 2 d'
_symmetry_Int_Tables_number 122
_symmetry_space_group_name_Hall 'I -4 2bw'
_cell_length_a 12.196
_cell_length_b 12.196
_cell_length_c 5.817
_cell_angle_alpha 90.00
_cell_angle_beta 90.00
_cell_angle_gamma 90.00
loop_
_atom_site_label
_atom_site_type_symbol
_atom_site_fract_x
_atom_site_fract_y
_atom_site_fract_z
Rb1 Rb 0.107 0.250 0.125
Na1 Na 0.000 0.000 0.500
Cu1 Cu 0.000 0.000 0.000
```

Properties
* E_tot: -1.538 eV per atom
* energy relative to the lowest polymorph listed for this composition: 0 meV/atom
* total magnetic moment: 0.0 μB per cell
* formation energy from the elements: 0.2993 eV per atom
* DOS at the Fermi energy: 0.13 states/eV per atom

* * * * *

VASP calculation (PBE-GGA) on a geometry-optimized La5Pm2YTm structure.

Calculated values
crystal system = tetragonal
N(E_F) = 32.22 states/eV/cell
ΔH_f (0 K) = 6.24 kcal/mol of atoms

Geometry as extended XYZ:
```
18
Lattice="-4.3270 4.3270 8.6230 4.3270 -4.3270 8.6230 4.3270 4.3270 -8.6230" Properties=species:S:1:pos:R:3 pbc="T T T"
La 0.0000 0.0000 0.0000
La 6.2301 1.9031 -2.4780
La 1.9031 2.4240 -2.4780
La 6.2301 1.9031 2.4780
La 1.9031 2.4240 2.4780
La 0.0000 0.0000 8.6230
La 2.4240 1.9031 6.1450
La -1.9031 2.4240 6.1450
La 2.4240 1.9031 11.1010
La -1.9031 2.4240 11.1010
Pm 3.2586 1.0685 0.0000
Pm 3.2586 -1.0685 8.6230
Pm 1.0685 5.3955 0.0000
Pm 1.0685 3.2586 8.6230
Y 4.3270 0.0000 4.3115
Y 0.0000 4.3270 4.3115
Tm 0.0000 0.0000 4.3115
Tm 0.0000 0.0000 12.9345
```

* * * * *

DFT (GGA-PBE) results for crystalline CoNiAg2 at its relaxed geometry.

Cell and atoms, written as POSCAR:
```
CoNiAg2
1.0
4.466 0.000 0.000
0.000 4.466 0.000
0.000 0.000 2.914
Ag Co Ni
2 1 1
Cartesian
0.000 0.000 0.000
2.233 2.233 0.000
2.233 0.000 1.457
0.000 2.233 1.457
```

ΔE to the lowest computed polymorph ... 0.2517 eV/atom
DOS at the Fermi energy ... 6.5 states/eV/cell
Crystal system ... tetragonal

* * * * *

[1]
## BeFeNi2 (PBE)

Data for an optimized crystal structure of BeFeNi2.

Cell and atoms, written as extended XYZ:
```
4
Lattice="2.542 -3.232 0.000 2.542 3.232 0.000 0.000 0.000 2.536" Properties=species:S:1:pos:R:3 pbc="T T T"
Be 0.000 0.000 0.000
Fe 2.542 0.000 0.000
Ni 1.271 1.616 1.268
Ni 1.271 -1.616 1.268
```

Results
crystal system: orthorhombic
energy of formation from the pure elements: -0.134 eV per atom
symmetry: Cmmm, No. 65
magnetic moment: 3.28 μB/cell



[2]
## BeFe2Ni (PBE)

Data for an optimized crystal structure of BeFe2Ni.

Cell and atoms, written as extended XYZ:
```
4
Lattice="2.769 0.000 0.000 0.000 2.769 0.000 0.000 0.000 5.395" Properties=species:S:1:pos:R:3 pbc="T T T"
Be 0.000 0.000 0.000
Fe 0.000 0.000 2.646
Fe 1.385 1.385 1.258
Ni 1.385 1.385 4.155
```

Results
crystal system: tetragonal
energy of formation from the pure elements: -0.105 eV per atom
symmetry: P4mm, No. 99
magnetic moment: 4.70 μB/cell

* * * * *

Compound: Tb12Pm3Zr
Source: the Alexandria database
Functional: PBE
Structure: relaxed

Cell and atoms, written as CIF:
```
data_Tb12Pm3Zr
_chemical_formula_sum 'Tb12 Pm3 Zr1'
_space_group_name_H-M_alt 'P 1'
_space_group_IT_number 1
_space_group_name_Hall 'P 1'
_cell_length_a 5.0239
_cell_length_b 5.0239
_cell_length_c 20.0621
_cell_angle_alpha 90.00
_cell_angle_beta 90.00
_cell_angle_gamma 90.00
loop_
_atom_site_label
_atom_site_fract_x
_atom_site_fract_y
_atom_site_fract_z
Zr1 0.0000 0.0000 0.0000
Tb1 0.5000 0.5000 0.7544
Tb2 0.0000 0.5000 0.3725
Tb3 0.5000 0.0000 0.6275
Tb4 0.5000 0.5000 0.0000
Tb5 0.5000 0.5000 0.2456
Pm1 0.0000 0.0000 0.5000
Tb6 0.0000 0.5000 0.8835
Tb7 0.0000 0.5000 0.1165
Tb8 0.0000 0.5000 0.6275
Tb9 0.5000 0.5000 0.5000
Tb10 0.5000 0.0000 0.3725
Tb11 0.5000 0.0000 0.1165
Pm2 0.0000 0.0000 0.7530
Tb12 0.5000 0.0000 0.8835
Pm3 0.0000 0.0000 0.2470
```

The formation energy comes out at 37 meV per atom.

---
>>>

[Wanted]
What is needed: return the whole of the data further above without additions.

[Solution]
Computed, not measured: an optimized crystal structure of Rb2NaCu at the PBE-GGA level of DFT.

CIF file:
```
data_Rb2NaCu
_chemical_formula_sum 'Rb8 Na4 Cu4'
_symmetry_space_group_name_H-M 'I -4 2 d'
_symmetry_Int_Tables_number 122
_symmetry_space_group_name_Hall 'I -4 2bw'
_cell_length_a 12.196
_cell_length_b 12.196
_cell_length_c 5.817
_cell_angle_alpha 90.00
_cell_angle_beta 90.00
_cell_angle_gamma 90.00
loop_
_atom_site_label
_atom_site_type_symbol
_atom_site_fract_x
_atom_site_fract_y
_atom_site_fract_z
Rb1 Rb 0.107 0.250 0.125
Na1 Na 0.000 0.000 0.500
Cu1 Cu 0.000 0.000 0.000
```

Properties
* E_tot: -1.538 eV per atom
* energy relative to the lowest polymorph listed for this composition: 0 meV/atom
* total magnetic moment: 0.0 μB per cell
* formation energy from the elements: 0.2993 eV per atom
* DOS at the Fermi energy: 0.13 states/eV per atom

* * * * *

VASP calculation (PBE-GGA) on a geometry-optimized La5Pm2YTm structure.

Calculated values
crystal system = tetragonal
N(E_F) = 32.22 states/eV/cell
ΔH_f (0 K) = 6.24 kcal/mol of atoms

Geometry as extended XYZ:
```
18
Lattice="-4.3270 4.3270 8.6230 4.3270 -4.3270 8.6230 4.3270 4.3270 -8.6230" Properties=species:S:1:pos:R:3 pbc="T T T"
La 0.0000 0.0000 0.0000
La 6.2301 1.9031 -2.4780
La 1.9031 2.4240 -2.4780
La 6.2301 1.9031 2.4780
La 1.9031 2.4240 2.4780
La 0.0000 0.0000 8.6230
La 2.4240 1.9031 6.1450
La -1.9031 2.4240 6.1450
La 2.4240 1.9031 11.1010
La -1.9031 2.4240 11.1010
Pm 3.2586 1.0685 0.0000
Pm 3.2586 -1.0685 8.6230
Pm 1.0685 5.3955 0.0000
Pm 1.0685 3.2586 8.6230
Y 4.3270 0.0000 4.3115
Y 0.0000 4.3270 4.3115
Tm 0.0000 0.0000 4.3115
Tm 0.0000 0.0000 12.9345
```

* * * * *

DFT (GGA-PBE) results for crystalline CoNiAg2 at its relaxed geometry.

Cell and atoms, written as POSCAR:
```
CoNiAg2
1.0
4.466 0.000 0.000
0.000 4.466 0.000
0.000 0.000 2.914
Ag Co Ni
2 1 1
Cartesian
0.000 0.000 0.000
2.233 2.233 0.000
2.233 0.000 1.457
0.000 2.233 1.457
```

ΔE to the lowest computed polymorph ... 0.2517 eV/atom
DOS at the Fermi energy ... 6.5 states/eV/cell
Crystal system ... tetragonal

* * * * *

[1]
## BeFeNi2 (PBE)

Data for an optimized crystal structure of BeFeNi2.

Cell and atoms, written as extended XYZ:
```
4
Lattice="2.542 -3.232 0.000 2.542 3.232 0.000 0.000 0.000 2.536" Properties=species:S:1:pos:R:3 pbc="T T T"
Be 0.000 0.000 0.000
Fe 2.542 0.000 0.000
Ni 1.271 1.616 1.268
Ni 1.271 -1.616 1.268
```

Results
crystal system: orthorhombic
energy of formation from the pure elements: -0.134 eV per atom
symmetry: Cmmm, No. 65
magnetic moment: 3.28 μB/cell



[2]
## BeFe2Ni (PBE)

Data for an optimized crystal structure of BeFe2Ni.

Cell and atoms, written as extended XYZ:
```
4
Lattice="2.769 0.000 0.000 0.000 2.769 0.000 0.000 0.000 5.395" Properties=species:S:1:pos:R:3 pbc="T T T"
Be 0.000 0.000 0.000
Fe 0.000 0.000 2.646
Fe 1.385 1.385 1.258
Ni 1.385 1.385 4.155
```

Results
crystal system: tetragonal
energy of formation from the pure elements: -0.105 eV per atom
symmetry: P4mm, No. 99
magnetic moment: 4.70 μB/cell

* * * * *

Compound: Tb12Pm3Zr
Source: the Alexandria database
Functional: PBE
Structure: relaxed

Cell and atoms, written as CIF:
```
data_Tb12Pm3Zr
_chemical_formula_sum 'Tb12 Pm3 Zr1'
_space_group_name_H-M_alt 'P 1'
_space_group_IT_number 1
_space_group_name_Hall 'P 1'
_cell_length_a 5.0239
_cell_length_b 5.0239
_cell_length_c 20.0621
_cell_angle_alpha 90.00
_cell_angle_beta 90.00
_cell_angle_gamma 90.00
loop_
_atom_site_label
_atom_site_fract_x
_atom_site_fract_y
_atom_site_fract_z
Zr1 0.0000 0.0000 0.0000
Tb1 0.5000 0.5000 0.7544
Tb2 0.0000 0.5000 0.3725
Tb3 0.5000 0.0000 0.6275
Tb4 0.5000 0.5000 0.0000
Tb5 0.5000 0.5000 0.2456
Pm1 0.0000 0.0000 0.5000
Tb6 0.0000 0.5000 0.8835
Tb7 0.0000 0.5000 0.1165
Tb8 0.0000 0.5000 0.6275
Tb9 0.5000 0.5000 0.5000
Tb10 0.5000 0.0000 0.3725
Tb11 0.5000 0.0000 0.1165
Pm2 0.0000 0.0000 0.7530
Tb12 0.5000 0.0000 0.8835
Pm3 0.0000 0.0000 0.2470
```

The formation energy comes out at 37 meV per atom.

---